What the Incarnation has to say about Abortion: Some theology in light of the news from the Irish Republic

At the weekend, The Citizens’ Assembly/An Tionól Saoránach set up by the Dáil in the Republic of Ireland to consider constitutional changes made its decisions on the 8th Amendment, which has been reported in the press as a vote in favour of decriminalising abortion (for, although the eighth amendment doesn’t specifically mention abortion, it does rule out its introduction in the Republic). The 8th Amendment is actually a positive statement asserting the human rights of unborn children:

The State acknowledges the right to life of the unborn and, with due regard to the equal right to life of the mother, guarantees in its laws to respect, and, as far as practicable, by its laws to defend and vindicate that right.

I’m not Irish (although that confuses anyone who doesn’t come from Northern Ireland), but I do come from a country bordering the Irish Republic, and in which, like the Republic of Ireland, abortion is, in most cases, a crime. And what’s more, many people in Northern Ireland look very much to the South and what happens there, while others look to the mainland and its much more liberalised abortion policy. So the proposed constitutional change in Éire is of significant interest in Northern Ireland as well.

But, what I find most significant about this proposed change is not its political implications, or how it’s being reported in the press, but rather what the press is leaving unsaid in the headlines. For the 8th Amendment of Bunreacht na hÉireann currently guarantees ‘the right to life of the unborn’ and states that this right is equal to the ‘right to life of the mother.’ So, although the press is headlining this story along the lines of ‘Citizens’ Assembly Backs Abortion Rights’ (The Irish Times), the actual story is that they are recommending stripping unborn children of the human rights they are currently guaranteed by the Irish Constitution. Currently the mother and child have equal rights, so this is not a story about giving additional rights to women, but rather a story about removing all human rights from approximately 70,000 Irish children per year. (Most of those 70,000 children will still live, but none will any longer have the right to life as is currently guaranteed by Bunreacht na hÉireann.)

In light of this sad news, I thought it would be worth sharing a wee bit of theological reflection on the issue of Abortion. So, what follows is a short extract from the chapter on the Virgin Birth in my book, looking at what the Incarnation of Christ has to say about the issue of abortion.

What the Incarnation of the Word in the Womb of the Virgin has to say about abortion

The doctrine of the virginal conception leads Christians to pay careful attention to unborn children. Within a few days of the annunciation, Mary arrived at her cousin Elizabeth’s house. We know that Mary arrived at Elizabeth’s so quickly as Elizabeth was already 6 months pregnant at the time of the annunciation (Lk 1:36) and Mary stayed with her for three months, and yet had left by the time of John’s birth (Lk 1:56-57). Therefore Mary must have gone straight to Elizabeth’s after Gabriel’s visit. And when Mary arrived, the baby in Elizabeth’s womb leapt for joy (Lk 1:41, 44) at the presence of ‘the mother of [the] Lord’ (Lk 1:43), and hence of the Lord whom she carried in her womb. Mary had been pregnant for probably a week at most, yet the unborn John and his mother Elizabeth recognised the presence of the person of the Son in her womb. If it was indeed within a week of the annunciation, then:

The Christ whom the unborn John greeted was probably not even implanted in the womb. If so, the somewhat more than six month old fetus to be named John responded to the arrival of a zygote not even implanted in the wall of the womb. (Graham A. D. Scott, ‘Abortion and the Incarnation’, Journal of the Evangelical Theological Society, 17 (1974), 37.)

Both the unborn John and his mother Elizabeth recognised this zygote as the Lord, and Mary as a mother: they recognised a living child in Mary’s womb who was the incarnate God.

Thomas Torrance points out that we must look to Christ who became an embryo for us to understand the human personhood of embryos:

It is surely to him who became a holy embryo in the Virgin's womb, and was born of her to be the Saviour of the world, that we must go for understanding of every human being from conception. In Christ, we see that the unborn child is as an embodied human soul, a person loved by the Lord Jesus who came to be the Saviour of the human race. (Thomas Torrance, The Being and Nature of the Unborn Child, 3.)

The virgin birth is crucial to our grasp of the nature and status in Christ’s eyes of the unborn child. The Son of God became a human being for us in the womb of the Virgin Mary, bone of our bone and flesh of our flesh. He became what we are. Think of the importance of the incarnation, then, for our understanding of and regard for the unborn child. Every child in the womb has been brothered by the Lord Jesus. In becoming a human being for us, he also became an embryo for the sake of all embryos, and for our Christian understanding of the being, nature and status in God’s eyes of the unborn child. So, to take no thought, or no proper thought, for the unborn child is to have no proper thought of Jesus himself as our Lord and Saviour or to appreciate his relation as the incarnate Creator to every human being. (Torrance, The Being and Nature of the Unborn Child, 4-5.)

• Calculated crystals, kept here for reference:
'''
Entry 1:
LaBiBr6: theoretical PXRD pattern (copper Kα), based on a structure optimized by DFT (GGA-PBE).
Kinematic intensities with the Lorentz-polarization factor, no thermal factor.

Atomic structure:
Unit cell a=7.2529 b=13.2116 c=7.2423 alpha=90.00 beta=106.54 gamma=90.00
Space group C2/m (No. 12)
Asymmetric unit:
La: 0.0000 0.0000 0.0000 (multiplicity 2)
Bi: 0.0000 0.5000 0.5000 (multiplicity 2)
Br: 0.2424 0.3503 0.7454 (multiplicity 8)
Br: 0.2501 0.0000 0.7464 (multiplicity 4)

Largest 6 diffraction maxima, sorted by position, 2θ from 5° to 70°:
2θ (°), I_rel, index
13.40, 74, 0 2 0
16.67, 76, 1 1 -1
21.58, 30, 1 1 1
28.90, 100, 1 3 1
30.79, 44, 2 0 -2
42.73, 69, 1 3 -3

---

Entry 2:
La4BiSb2Br: theoretical PXRD pattern (copper Kα), based on a structure optimized by DFT (GGA-PBE).
Kinematic intensities with the Lorentz-polarization factor, no thermal factor.

Atomic structure:
Unit cell a=9.1851 b=12.9879 c=9.1840 alpha=90.00 beta=90.00 gamma=90.00
Space group Fmm2 (No. 42)
Asymmetric unit:
La: 0.0000 0.2482 0.0000 (multiplicity 8)
La: 0.2503 0.0000 0.2489 (multiplicity 8)
Bi: 0.0000 0.0000 0.9992 (multiplicity 4)
Sb: 0.2500 0.2500 0.2498 (multiplicity 8)
Br: 0.0000 0.0000 0.4986 (multiplicity 4)

Largest 6 diffraction maxima, sorted by position, 2θ from 5° to 70°:
2θ (°), I_rel, index
15.25, 7, 1 1 1
27.47, 100, 2 0 2
39.24, 77, 4 0 0
48.56, 28, 4 4 0
56.70, 13, 4 0 4
64.13, 36, 6 0 2

---

Please write out number 2 again, unchanged.
La4BiSb2Br: theoretical PXRD pattern (copper Kα), based on a structure optimized by DFT (GGA-PBE).
Kinematic intensities with the Lorentz-polarization factor, no thermal factor.

Atomic structure:
Unit cell a=9.1851 b=12.9879 c=9.1840 alpha=90.00 beta=90.00 gamma=90.00
Space group Fmm2 (No. 42)
Asymmetric unit:
La: 0.0000 0.2482 0.0000 (multiplicity 8)
La: 0.2503 0.0000 0.2489 (multiplicity 8)
Bi: 0.0000 0.0000 0.9992 (multiplicity 4)
Sb: 0.2500 0.2500 0.2498 (multiplicity 8)
Br: 0.0000 0.0000 0.4986 (multiplicity 4)

Largest 6 diffraction maxima, sorted by position, 2θ from 5° to 70°:
2θ (°), I_rel, index
15.25, 7, 1 1 1
27.47, 100, 2 0 2
39.24, 77, 4 0 0
48.56, 28, 4 4 0
56.70, 13, 4 0 4
64.13, 36, 6 0 2
'''

Christ became ‘an embryo for the sake of all embryos’, therefore Christians look at the embryo, the unborn child, as the object of Christ’s great love. And so, ‘from the moment of conception every human being is infinitely precious to the Lord Jesus, and is the concern of his redeeming love’ (Torrance, The Being and Nature of the Unborn Child, 22). With such an understanding of the human personhood of the unborn child, right from the moment of conception, resting in the cardinal doctrines of the incarnation and the virgin birth, it is no wonder that from even before the completion of the New Testament canon in the first century, Christians understood the sixth commandment to include the prohibition of abortion: ‘you shall not abort a child or commit infanticide’ (Didache 2:2).

(By the way, as we’re in the midst of a general election campaign here in the UK, it is well worth considering the policies of the various parties when it comes to abortion, and the voting record of the party leaders, and your local MP, when restrictions or liberalisations of abortion law have come to the floor of the House of Commons. Lord Alton has done the research – which also covers votes on euthanasia – and you can see the results here on Archbishop Cranmer’s blog. And for people in Northern Ireland, this time this actually could be an issue that matters in a General Election rather than an Assembly Election, as the prospect of Direct Rule might be looming!)